• Data:
........
VASP calculation (PBE) on crystalline B2Se3O10 at its relaxed geometry.

Structure (extended XYZ):
```
60
Lattice="-3.163 0.102 -3.167 -5.573 -2.303 5.492 -2.721 21.476 6.244" Properties=species:S:1:pos:R:3 pbc="T T T"
O -5.591 9.549 2.000
O -6.475 3.266 4.965
O -8.471 4.436 4.562
O -5.299 18.505 3.806
O -4.141 20.071 5.278
O -7.317 -0.795 3.291
O -2.766 0.612 2.845
O -5.021 17.215 6.508
O -6.043 12.119 6.430
O -4.919 14.221 5.325
O -2.339 3.987 1.002
O -2.412 6.993 2.156
O -9.046 12.282 6.413
O -4.232 2.673 0.490
O -3.663 3.260 2.891
O -5.867 9.727 6.569
O -6.869 10.690 4.632
O -5.008 13.653 3.036
O -9.509 7.025 4.748
O -4.588 8.585 3.937
O -10.008 18.214 8.414
O -9.118 15.288 7.567
O -7.225 16.602 8.079
O -6.437 2.060 2.060
O -4.983 16.009 3.604
O -6.159 0.771 4.763
O -8.692 18.663 5.724
O -1.948 12.250 3.821
O -1.450 1.061 0.155
O -6.840 14.415 7.107
O -4.617 4.860 1.462
O -6.539 5.054 3.244
O -5.415 7.157 2.139
O -6.948 8.178 3.617
O -6.362 20.530 4.541
O -2.987 14.840 4.007
O -5.096 -1.255 4.028
O -7.795 16.015 5.678
O -4.510 11.097 4.952
O -6.450 5.622 5.533
Se -5.899 2.109 0.531
Se -6.537 13.573 5.612
Se -7.506 1.873 4.785
Se -6.594 5.438 7.278
Se -3.952 17.403 3.784
Se -4.590 20.891 6.761
Se -4.921 5.702 2.957
Se -6.868 -1.616 1.808
Se -4.863 13.838 1.291
Se -5.558 17.166 8.038
Se -7.888 9.263 4.594
Se -3.570 10.012 3.975
B -4.470 14.661 3.997
B -5.800 10.884 5.651
B -6.988 4.614 4.572
B -5.658 8.391 2.918
B -5.074 19.932 4.125
B -6.383 -0.657 4.444
B -7.756 15.597 7.111
B -3.702 3.679 1.458
```

Values from the calculation:
Final energy (eV/atom): -6.085

VASP calculation (PBE) on crystalline SiBO3 at its relaxed geometry.

Structure (extended XYZ):
```
5
Lattice="3.336 0.000 0.000 0.000 3.336 0.000 0.000 0.000 3.336" Properties=species:S:1:pos:R:3 pbc="T T T"
O 1.668 1.668 0.000
O 1.668 0.000 1.668
O 0.000 1.668 1.668
Si 0.000 0.000 0.000
B 1.668 1.668 1.668
```

Values from the calculation:
Final energy (eV/atom): -5.966

VASP calculation (PBE) on crystalline SiBO3 at its relaxed geometry.

Structure (extended XYZ):
```
5
Lattice="3.503 0.000 0.000 0.000 3.503 0.000 0.000 0.000 3.503" Properties=species:S:1:pos:R:3 pbc="T T T"
O 1.751 0.000 0.000
O 0.000 1.751 0.000
O 0.000 0.000 1.751
B 1.751 1.751 1.751
Si 0.000 0.000 0.000
```

Values from the calculation:
Final energy (eV/atom): -5.977

VASP calculation (PBE) on crystalline Si2B2O5 at its relaxed geometry.

Structure (extended XYZ):
```
9
Lattice="3.405 0.000 0.000 0.000 3.405 0.000 0.000 0.000 6.804" Properties=species:S:1:pos:R:3 pbc="T T T"
O 1.703 1.703 3.402
O 1.703 0.000 1.579
O 1.703 0.000 5.226
O 0.000 1.703 1.579
O 0.000 1.703 5.226
Si 0.000 0.000 3.402
Si 0.000 0.000 0.000
B 1.703 1.703 1.960
B 1.703 1.703 4.844
```

Values from the calculation:
Final energy (eV/atom): -6.073

VASP calculation (PBE) on crystalline Sm3Si2BO10 at its relaxed geometry.

Structure (extended XYZ):
```
128
Lattice="7.079 0.000 0.000 0.000 9.789 0.000 0.000 0.000 23.110" Properties=species:S:1:pos:R:3 pbc="T T T"
O 2.356 8.432 22.938
O 4.578 7.586 9.004
O 1.212 4.424 14.037
O 3.817 4.552 13.862
O 0.941 8.826 6.669
O 5.320 2.356 9.681
O 5.320 7.250 1.874
O 5.867 0.471 2.482
O 5.867 5.365 9.073
O 0.258 3.826 7.592
O 6.041 2.691 14.106
O 4.137 8.565 11.762
O 4.410 6.425 16.427
O 2.502 7.097 20.559
O 1.760 2.538 21.236
O 2.943 6.118 0.208
O 4.578 2.691 2.551
O 2.669 8.258 4.873
O 1.183 8.432 11.383
O 0.277 0.343 13.862
O 2.081 1.039 16.679
O 3.798 1.069 7.592
O 1.459 5.933 6.430
O 6.139 0.962 16.441
O 3.282 3.826 19.147
O 4.752 0.471 14.037
O 2.081 5.933 17.985
O 6.821 5.963 15.517
O 2.669 3.363 6.682
O 1.183 3.538 0.172
O 1.780 7.433 1.874
O 6.209 1.531 6.682
O 1.459 1.039 5.124
O 2.502 2.203 14.106
O 5.896 1.356 11.727
O 0.941 3.932 4.886
O 4.480 0.962 4.886
O 4.137 3.670 22.902
O 5.620 8.750 17.985
O 2.356 3.538 11.727
O 2.599 3.932 16.441
O 5.299 2.356 21.236
O 4.410 1.531 18.237
O 0.597 1.224 22.902
O 0.258 8.720 3.962
O 6.139 5.857 18.224
O 0.871 3.363 18.237
........
• Brief:
Could you copy every line further above that contains the word "Si2B2O5"?
• Written answer:
VASP calculation (PBE) on crystalline Si2B2O5 at its relaxed geometry.